Activity:
Next, start at the top of the lines further down and reproduce each line, ending with the one that has "98.73°".
Data:
~~~
[1]
Ce4Te3As: theoretical X-ray powder pattern (Cu Kα), based on a DFT-relaxed cell (PBE, Alexandria).
Peak positions follow from Bragg's law for the DFT cell and can differ from measured ones.

Cell and atoms:
Cell: 7.694 7.694 4.389 Å, 90.00 90.00 108.97°
Sites, in units of the cell vectors:
Ce  0.230  0.230  0.500
Ce  0.239  0.761  0.000
Ce  0.761  0.239  0.000
Ce  0.770  0.770  0.500
Te  0.000  0.500  0.500
Te  0.500  0.000  0.500
Te  0.500  0.500  0.000
As  0.000  0.000  0.000

Peak list (10 most intense, 2θ from 10° to 80°, in order of falling intensity)
- 28.50°, 3.131 Å, rel. 100
- 40.75°, 2.214 Å, rel. 50
- 66.80°, 1.400 Å, rel. 22
- 50.81°, 1.797 Å, rel. 13
- 50.15°, 1.819 Å, rel. 13
- 41.13°, 2.194 Å, rel. 13
- 40.36°, 2.235 Å, rel. 12
- 58.99°, 1.566 Å, rel. 12
- 74.70°, 1.271 Å, rel. 8
- 73.65°, 1.286 Å, rel. 7


[2]
Tb6Pm2Pr5: theoretical X-ray powder pattern (Cu Kα), based on a DFT-relaxed cell (PBE, Alexandria).
Peak positions follow from Bragg's law for the DFT cell and can differ from measured ones.

Cell and atoms:
Cell: 11.779 20.922 3.635 Å, 90.00 90.00 90.00°
Sites, in units of the cell vectors:
Tb  0.066  0.141  0.000
Tb  0.071  0.431  0.000
Tb  0.187  0.874  0.500
Tb  0.313  0.374  0.500
Tb  0.429  0.931  0.000
Tb  0.434  0.641  0.000
Tb  0.566  0.359  0.000
Tb  0.571  0.069  0.000
Tb  0.687  0.626  0.500
Tb  0.813  0.126  0.500
Tb  0.929  0.569  0.000
Tb  0.934  0.859  0.000
Pm  0.189  0.727  0.000
Pm  0.311  0.227  0.000
Pm  0.689  0.773  0.000
Pm  0.811  0.273  0.000
Pr  0.000  0.000  0.500
Pr  0.070  0.286  0.500
Pr  0.197  0.565  0.500
Pr  0.303  0.065  0.500
Pr  0.430  0.786  0.500
Pr  0.500  0.500  0.500
Pr  0.570  0.214  0.500
Pr  0.697  0.935  0.500
Pr  0.803  0.435  0.500
Pr  0.930  0.714  0.500

Peak list (10 most intense, 2θ from 10° to 80°, in order of falling intensity)
- 30.88°, 2.896 Å, rel. 100
- 31.64°, 2.828 Å, rel. 79
- 30.66°, 2.916 Å, rel. 65
- 33.66°, 2.663 Å, rel. 50
- 36.06°, 2.491 Å, rel. 29
- 34.40°, 2.607 Å, rel. 28
- 50.95°, 1.792 Å, rel. 22
- 28.71°, 3.109 Å, rel. 21
- 50.19°, 1.818 Å, rel. 19
- 59.97°, 1.543 Å, rel. 19


[3]
Er12Tm7Zr: theoretical X-ray powder pattern (Cu Kα), based on a DFT-relaxed cell (PBE, Alexandria).
Peak positions follow from Bragg's law for the DFT cell and can differ from measured ones.

Cell and atoms:
Cell: 8.566 8.566 8.566 Å, 98.73 98.73 98.73°
Sites, in units of the cell vectors:
Er  0.000  0.257  0.743
Er  0.000  0.743  0.257
Er  0.162  0.599  0.599
Er  0.257  0.000  0.743
Er  0.257  0.743  0.000
Er  0.401  0.401  0.838
Er  0.401  0.838  0.401
Er  0.599  0.162  0.599
Er  0.599  0.599  0.162
Er  0.743  0.000  0.257
Er  0.743  0.257  0.000
Er  0.838  0.401  0.401
Tm  0.142  0.142  0.406
Tm  0.142  0.406  0.142
Tm  0.406  0.142  0.142
Tm  0.500  0.500  0.500
Tm  0.594  0.858  0.858
Tm  0.858  0.594  0.858
Tm  0.858  0.858  0.594
Zr  0.000  0.000  0.000

Peak list (10 most intense, 2θ from 10° to 80°, in order of falling intensity)
- 32.62°, 2.745 Å, rel. 100
- 32.10°, 2.788 Å, rel. 70
- 32.24°, 2.777 Å, rel. 66
- 29.93°, 2.985 Å, rel. 54
- 35.02°, 2.562 Å, rel. 37
- 56.64°, 1.625 Å, rel. 26
- 58.06°, 1.589 Å, rel. 25
- 50.46°, 1.808 Å, rel. 23
- 35.50°, 2.529 Å, rel. 22
- 35.14°, 2.554 Å, rel. 20


[4]
LaSm7Er2: theoretical X-ray powder pattern (Cu Kα), based on a DFT-relaxed cell (PBE, Alexandria).
Peak positions follow from Bragg's law for the DFT cell and can differ from measured ones.

Cell and atoms:
~~~
Here it is:
[1]
Ce4Te3As: theoretical X-ray powder pattern (Cu Kα), based on a DFT-relaxed cell (PBE, Alexandria).
Peak positions follow from Bragg's law for the DFT cell and can differ from measured ones.

Cell and atoms:
Cell: 7.694 7.694 4.389 Å, 90.00 90.00 108.97°
Sites, in units of the cell vectors:
Ce  0.230  0.230  0.500
Ce  0.239  0.761  0.000
Ce  0.761  0.239  0.000
Ce  0.770  0.770  0.500
Te  0.000  0.500  0.500
Te  0.500  0.000  0.500
Te  0.500  0.500  0.000
As  0.000  0.000  0.000

Peak list (10 most intense, 2θ from 10° to 80°, in order of falling intensity)
- 28.50°, 3.131 Å, rel. 100
- 40.75°, 2.214 Å, rel. 50
- 66.80°, 1.400 Å, rel. 22
- 50.81°, 1.797 Å, rel. 13
- 50.15°, 1.819 Å, rel. 13
- 41.13°, 2.194 Å, rel. 13
- 40.36°, 2.235 Å, rel. 12
- 58.99°, 1.566 Å, rel. 12
- 74.70°, 1.271 Å, rel. 8
- 73.65°, 1.286 Å, rel. 7


[2]
Tb6Pm2Pr5: theoretical X-ray powder pattern (Cu Kα), based on a DFT-relaxed cell (PBE, Alexandria).
Peak positions follow from Bragg's law for the DFT cell and can differ from measured ones.

Cell and atoms:
Cell: 11.779 20.922 3.635 Å, 90.00 90.00 90.00°
Sites, in units of the cell vectors:
Tb  0.066  0.141  0.000
Tb  0.071  0.431  0.000
Tb  0.187  0.874  0.500
Tb  0.313  0.374  0.500
Tb  0.429  0.931  0.000
Tb  0.434  0.641  0.000
Tb  0.566  0.359  0.000
Tb  0.571  0.069  0.000
Tb  0.687  0.626  0.500
Tb  0.813  0.126  0.500
Tb  0.929  0.569  0.000
Tb  0.934  0.859  0.000
Pm  0.189  0.727  0.000
Pm  0.311  0.227  0.000
Pm  0.689  0.773  0.000
Pm  0.811  0.273  0.000
Pr  0.000  0.000  0.500
Pr  0.070  0.286  0.500
Pr  0.197  0.565  0.500
Pr  0.303  0.065  0.500
Pr  0.430  0.786  0.500
Pr  0.500  0.500  0.500
Pr  0.570  0.214  0.500
Pr  0.697  0.935  0.500
Pr  0.803  0.435  0.500
Pr  0.930  0.714  0.500

Peak list (10 most intense, 2θ from 10° to 80°, in order of falling intensity)
- 30.88°, 2.896 Å, rel. 100
- 31.64°, 2.828 Å, rel. 79
- 30.66°, 2.916 Å, rel. 65
- 33.66°, 2.663 Å, rel. 50
- 36.06°, 2.491 Å, rel. 29
- 34.40°, 2.607 Å, rel. 28
- 50.95°, 1.792 Å, rel. 22
- 28.71°, 3.109 Å, rel. 21
- 50.19°, 1.818 Å, rel. 19
- 59.97°, 1.543 Å, rel. 19


[3]
Er12Tm7Zr: theoretical X-ray powder pattern (Cu Kα), based on a DFT-relaxed cell (PBE, Alexandria).
Peak positions follow from Bragg's law for the DFT cell and can differ from measured ones.

Cell and atoms:
Cell: 8.566 8.566 8.566 Å, 98.73 98.73 98.73°